Women in military and government posts: Where are we now?

By Brooke Faulkner
The 2018 midterm election ushered in a new page for U.S. government: More women now hold a seat in Congress than ever before. According to NPR, a record 127 women hold seats in the House in 2019.
That’s a huge step for equality, but it’s not the entire picture: Those 127 women make up only 23.7 percent of Congress. This gender disparity perfectly illustrates how far we still have to go towards full gender equality in the government.
As for U.S. military numbers, we get a similar picture. Data from the Council on Foreign Relations shows that women represent just 16 percent of active duty personnel. And as the military has evolved to the all-volunteer force of today, the roles of women have changed with it. During the Gulf War, for example, the first female pilots flew combat missions. It wasn’t until 2013 that the ban on women in ground combat roles was lifted.
But are the U.S. figures of women in military and governmental roles a mirror of the rest of the world? Not exactly, but one thing we do know is that all women, no matter the industry, are likely to face discrimination of some kind based on their sex.
The Wakanda Effect: Inclusive Armies of the World
When the blockbuster film Black Panther was chosen as a nominee for Best Picture at the Academy Awards in 2019, it received a fair amount of criticism. Some critics questioned the merits of a superhero film, while others had a problem with the depiction of the military and royal families in the film’s fictional country of Wakanda — specifically, the fact that women were held in high esteem and fought side-by-side with their male counterparts.
Black Panther’s so-called “overt feminism” struck a chord with many U.S. viewers, but armies with a strong female presence aren’t a novel idea in other parts of the world. Women in combat is nothing new in Israel, Norway, Australia, and New Zealand. Norway, in fact, made headlines in 2017 when it introduced an all-female special forces unit called the Jegertroppen.
Other countries, however, have a military gender ratio inequality that’s on par with the U.S. China has the largest army in the world, with an estimated 1.6 million troops. Of those, only about 5 percent are female. And in Russia, women make up 10 percent of the Russian Armed Forces.
What comes next are crystal structures, not part of the entry:
-- begin --
Entry 1:
Here is VO2 after structural relaxation from the Materials Project. Energies are from PBE+U.

Cell: 2.9380 4.9496 9.3574 Å, 90.03 92.42 90.38°
Space group P1 (No. 1)
Symmetry-distinct sites (fractional):
V  0.0000  0.0000  0.0000
V  0.0048  0.3416  0.4980
V  0.5129  0.8411  0.2745
V  0.5235  0.4943  0.7713
O  0.0177  0.7120  0.1645
O  0.0270  0.6281  0.6599
O  0.4960  0.5407  0.4045
O  0.5020  0.1276  0.1152
O  0.5175  0.2179  0.6158
O  0.5350  0.8157  0.9000
O  0.9956  0.3178  0.8774
O  0.9992  0.0380  0.3763

Properties
Raw total energy: -0.2834 hartree per atom



Entry 2:
Here is V2O3 after structural relaxation from the Materials Project. Energies are from PBE+U.

Cell: 10.7701 5.5580 5.7608 Å, 90.00 120.25 90.00°
Space group C2/c (No. 15)
Symmetry-distinct sites (fractional):
V  0.1946  0.0003  0.4478
O  0.0000  0.0022  0.2500
O  0.2326  0.2810  0.7342

Properties
Raw total energy: -0.2843 hartree per atom



Entry 3:
Here is VO2 after structural relaxation from the Materials Project. Energies are from PBE+U.

Cell: 2.9330 7.3596 7.4151 Å, 88.48 80.02 81.12°
Space group P-1 (No. 2)
Symmetry-distinct sites (fractional):
V  0.1671  0.1811  0.0186
V  0.3264  0.5185  0.3195
O  0.0186  0.6210  0.7937
O  0.2852  0.3658  0.5538
O  0.3240  0.9461  0.8663
O  0.3700  0.7038  0.1195

Properties
Raw total energy: -0.2837 hartree per atom



Entry 4:
Here is V2O3 after structural relaxation from the Materials Project. Energies are from PBE+U.

Cell: 5.1348 5.4701 15.0683 Å, 90.00 90.00 90.00°
Space group Pbca (No. 61)
Symmetry-distinct sites (fractional):
V  0.0006  0.1839  0.0734
V  0.0028  0.2492  0.3208
O  0.1420  0.1160  0.2025
O  0.1501  0.6637  0.5509
O  0.1992  0.5331  0.8754

Properties
Raw total energy: -0.2945 hartree per atom



Entry 5:
Here is V3O5 after structural relaxation from the Materials Project. Energies are from PBE+U.

Cell: 10.1787 5.1957 7.1090 Å, 90.00 112.19 90.00°
Space group Cc (No. 9)
Symmetry-distinct sites (fractional):
V  0.0000  0.0016  0.0000
V  0.2411  0.4970  0.0593
V  0.3686  0.0059  0.7829
O  0.0697  0.3569  0.9472
O  0.1844  0.1617  0.6188
O  0.2900  0.3471  0.3372
O  0.3694  0.1988  0.0362
O  0.4476  0.3492  0.7214

Properties
Excess energy over the best structure of this formula in the dataset: 3 meV per atom
Raw total energy: -0.2922 hartree per atom



Entry 6:
Here is V2O5 after structural relaxation from the Materials Project. Energies are from PBE+U.

Cell: 11.7180 12.6202 13.1395 Å, 89.26 85.97 87.93°
Space group P1 (No. 1)
Symmetry-distinct sites (fractional):
V  0.0000  0.0000  0.0000
V  0.0029  0.8269  0.4064
V  0.0174  0.4359  0.4416
V  0.0236  0.6555  0.7229
V  0.0881  0.4065  0.8090
V  0.1432  0.0672  0.4007
V  0.1770  0.0168  0.7944
V  0.2049  0.6360  0.4828
V  0.2613  0.6617  0.2153
V  0.2828  0.3704  0.4326
V  0.3080  0.4323  0.9728
V  0.3205  0.9181  0.2341
V  0.3598  0.1834  0.8802
V  0.3904  0.5165  0.5534
V  0.4326  0.8824  0.6974
V  0.4393  0.9543  0.0159
V  0.4478  0.6686  0.9816
-- stop --
Further, female heads of state are few and far between. Currently, there are 20 female world leaders serving as their country’s head of state or government, representing 6.3 percent of the total number of global leaders. These include prominent figures like Sahle-Work Zewde of Zimbabwe and the U.K.’s Prime Minister Theresa May. Yet, no matter the position, women are still being paid less than men.
Gender Discrimination and Equal Pay
In 1963, U.S. President Kennedy signed the Equal Pay Act. However, there still exists a pay gap between men and women in 2019. While the gender gap has narrowed since this legislation was enacted, it has remained relatively stable over the past 15 years. Currently, research shows that women earn about 82 percent of what men earn, no matter the occupation.
Interestingly, the U.S. military is an example of a major employer with no gender pay gap. Female and male soldiers of the same rank receive the same pay.
Income disparity is one of the most obvious examples of gender discrimination in the workplace. Others include being asked inappropriate interview questions, diminished responsibility, and difficulty moving up the ladder to higher positions.
Workplace discrimination affects cis women as well as transgender women in all occupations, including the military. In July 2017, U.S. President Trump announced that his administration was working to ban transgender people from serving in the military. In other industries, transgender discrimination also occurs. According to the National Center for Transgender Equality, about 50 percent of transgender people report being harassed on the job. The organization believes that non-discrimination laws should be put in place to protect transgender individuals.
The Challenge of Gender Diversity
Harassment on the job is a daily threat for cis and transgender women no matter the industry. And as we have seen, the U.S. military is not comprised of a very diverse workforce. It’s in the best interest of all business owners and managers, in the military and elsewhere, to promote a diverse workplace.
Studies show that a diverse workplace has many advantages, including increased productivity and improved retention. Increased problem solving and creativity can also come from a diverse workplace, where men and women serve side by side. As women make up a little more than half of the global population, the lack of women in government and military posts may indicate that gender discrimination is alive and well. While the 2018 midterm election and the inclusion of women in combat roles are steps in the right direction, we still have a long way to go where gender diversity is concerned.
Brooke Faulkner is a writer and mom based in the Pacific Northwest. She writes about issues important to her and her family, in hopes that spreading knowledge will help inform people on the decisions being made that affect their lives. You can find more of her writing on contently or twitter!